-- begin --
1.
A plane-wave DFT calculation with PBE was carried out for crystalline Nb2InHAu at its relaxed geometry.

Geometry as extended XYZ:
```
5
Lattice="4.0693 0.0000 0.0000 0.0000 4.0693 0.0000 0.0000 0.0000 4.6471" Properties=species:S:1:pos:R:3 pbc="T T T"
Nb 0.0000 2.0346 0.0000
Nb 2.0346 0.0000 0.0000
In 0.0000 0.0000 2.3236
H 2.0346 2.0346 0.0000
Au 2.0346 2.0346 2.3236
```

Space-group type: No. 123
Crystal system: tetragonal

2.
A plane-wave DFT calculation with PBE was carried out for crystalline InHPb2Au at its relaxed geometry.

Geometry as extended XYZ:
```
5
Lattice="5.8089 0.0000 0.0000 0.0000 5.8089 0.0000 0.0000 0.0000 3.5376" Properties=species:S:1:pos:R:3 pbc="T T T"
In 0.0000 0.0000 0.0000
H 2.9044 2.9044 0.0000
Pb 0.0000 2.9044 1.7688
Pb 2.9044 0.0000 1.7688
Au 2.9044 2.9044 1.7688
```

Space-group type: No. 123
Crystal system: tetragonal

3.
A plane-wave DFT calculation with PBE was carried out for crystalline InHPd2Au at its relaxed geometry.

Geometry as extended XYZ:
```
5
Lattice="4.0375 0.0000 0.0000 0.0000 4.0375 0.0000 0.0000 0.0000 4.4082" Properties=species:S:1:pos:R:3 pbc="T T T"
In 0.0000 0.0000 0.0000
H 0.0000 0.0000 2.2041
Pd 0.0000 2.0188 2.2041
Pd 2.0188 0.0000 2.2041
Au 2.0188 2.0188 0.0000
```

Space-group type: No. 123
Crystal system: tetragonal
Energy above the most stable polymorph in this dataset, meV per atom: 81

4.
A plane-wave DFT calculation with PBE was carried out for crystalline InHPd2Au at its relaxed geometry.

Geometry as extended XYZ:
```
5
Lattice="4.1314 0.0000 0.0000 0.0000 4.1314 0.0000 0.0000 0.0000 4.1823" Properties=species:S:1:pos:R:3 pbc="T T T"
In 0.0000 0.0000 0.0000
H 2.0657 2.0657 2.0912
Pd 0.0000 2.0657 2.0912
Pd 2.0657 0.0000 2.0912
Au 2.0657 2.0657 0.0000
```

Space-group type: No. 123
Crystal system: tetragonal
Energy above the most stable polymorph in this dataset, meV per atom: 0

5.
A plane-wave DFT calculation with PBE was carried out for crystalline In2HPd6Au at its relaxed geometry.

Geometry as extended XYZ:
```
10
Lattice="4.9331 0.0000 0.0000 1.6060 5.4128 0.0000 1.7495 1.2499 6.1159" Properties=species:S:1:pos:R:3 pbc="T T T"
In 1.7074 2.3692 1.7319
In 6.5813 4.2935 4.3840
H 0.0000 0.0000 0.0000
Pd 2.4034 5.1661 1.8850
Pd 4.1626 4.9364 5.4829
Pd 3.3994 2.1938 5.4667
Pd 4.8893 4.4689 0.6492
Pd 4.1261 1.7263 0.6330
Pd 5.8853 1.4966 4.2309
Au 4.1443 3.3314 3.0580
```

Space-group type: No. 2
Crystal system: triclinic

6.
A plane-wave DFT calculation with PBE was carried out for crystalline In2HPtAu at its relaxed geometry.

Geometry as extended XYZ:
```
5
Lattice="5.2980 0.0000 0.0000 0.0000 5.2980 0.0000 0.0000 0.0000 3.4906" Properties=species:S:1:pos:R:3 pbc="T T T"
In 0.0000 2.6490 0.0000
In 2.6490 0.0000 0.0000
H 0.0000 0.0000 1.7453
Pt 0.0000 0.0000 0.0000
Au 2.6490 2.6490 1.7453
```

Space-group type: No. 123
Crystal system: tetragonal

7.
A plane-wave DFT calculation with PBE was carried out for crystalline InHPtAu2 at its relaxed geometry.

Geometry as extended XYZ:
```
5
Lattice="4.6122 0.0000 0.0000 0.0000 4.6122 0.0000 0.0000 0.0000 3.6304" Properties=species:S:1:pos:R:3 pbc="T T T"
In 0.0000 0.0000 0.0000
H 2.3061 2.3061 1.8152
Pt 2.3061 2.3061 0.0000
Au 0.0000 2.3061 1.8152
Au 2.3061 0.0000 1.8152
```

Space-group type: No. 123
Crystal system: tetragonal

8.
A plane-wave DFT calculation with PBE was carried out for crystalline InHRhAu2 at its relaxed geometry.

Geometry as extended XYZ:
```
5
Lattice="4.4261 0.0000 0.0000 0.0000 4.4261 0.0000 0.0000 0.0000 3.7647" Properties=species:S:1:pos:R:3 pbc="T T T"
In 0.0000 0.0000 0.0000
H 2.2131 2.2131 1.8823
Rh 2.2131 2.2131 0.0000
Au 0.0000 2.2131 1.8823
Au 2.2131 0.0000 1.8823
```

Space-group type: No. 123
Crystal system: tetragonal

9.
A plane-wave DFT calculation with PBE was carried out for crystalline InHRh2Au at its relaxed geometry.

Geometry as extended XYZ:
```
5
Lattice="4.0101 0.0000 0.0000 0.0000 4.0101 0.0000 0.0000 0.0000 4.2698" Properties=species:S:1:pos:R:3 pbc="T T T"
-- stop --

Your job: count the lines earlier on that contain the word "Crystal" and give the number alone.

8